Transcribe the part of the rows underneath that starts with the line with "5.469, 35.0" and stops after the one with "2.614, 36.7", please.

~~~
Li2VF5: theoretical powder diffraction line list (CuKα), based on the GGA+U geometry in the Materials Project.
No peak broadening, texture or thermal motion is included.

Top 12 peaks for 15° ≤ 2θ ≤ 90°, in order of rising 2θ:
d/Å, I/Imax
4.833, 100.0
4.524, 93.1
3.431, 49.7
2.972, 47.3
2.727, 22.2
2.298, 44.3
2.265, 45.8
2.181, 38.4
1.809, 25.2
1.763, 28.9
1.697, 25.0
1.470, 27.7

Atomic structure:
a = 10.3820 Å, b = 5.1194 Å, c = 7.3022 Å
α = 90.00°, β = 111.39°, γ = 90.00°
Space group C2/c (No. 15)
Asymmetric unit:
Li 0.1419 0.0120 0.2443 x8
V 0.0000 0.5000 0.0000 x4
F 0.0000 0.3143 0.7500 x4
F 0.0838 0.1781 0.4555 x8
F 0.1797 0.3495 0.1475 x8

***

Mg14VFeO16: theoretical powder diffraction line list (CuKα), based on the GGA+U geometry in the Materials Project.
No peak broadening, texture or thermal motion is included.

Top 12 peaks for 15° ≤ 2θ ≤ 90°, in order of rising 2θ:
d/Å, I/Imax
4.276, 6.6
3.825, 6.1
3.024, 5.4
2.469, 25.0
2.140, 100.0
2.134, 49.6
1.513, 56.3
1.510, 28.0
1.291, 4.8
1.289, 4.8
1.288, 4.8
1.234, 25.4

Atomic structure:
a = 4.2684 Å, b = 8.5518 Å, c = 8.5688 Å
α = 90.00°, β = 90.00°, γ = 90.00°
Space group Pmmm (No. 47)
Asymmetric unit:
Mg 0.0000 0.0000 0.0000 x1
Mg 0.0000 0.0000 0.5000 x1
Mg 0.0000 0.2496 0.2492 x4
Mg 0.5000 0.0000 0.2503 x2
Mg 0.5000 0.2475 0.0000 x2
Mg 0.5000 0.2488 0.5000 x2
Mg 0.5000 0.5000 0.2511 x2
V 0.0000 0.5000 0.5000 x1
Fe 0.0000 0.5000 0.0000 x1
O 0.0000 0.0000 0.2503 x2
O 0.0000 0.2437 0.0000 x2
O 0.0000 0.2444 0.5000 x2
O 0.0000 0.5000 0.2493 x2
O 0.5000 0.0000 0.0000 x1
O 0.5000 0.0000 0.5000 x1
O 0.5000 0.2511 0.2498 x4
O 0.5000 0.5000 0.0000 x1
O 0.5000 0.5000 0.5000 x1

***

BaFe2P4O14: theoretical powder diffraction line list (CuKα), based on the GGA+U geometry in the Materials Project.
No peak broadening, texture or thermal motion is included.

Top 12 peaks for 15° ≤ 2θ ≤ 90°, in order of rising 2θ:
d/Å, I/Imax
5.469, 35.0
3.763, 59.1
3.560, 100.0
3.361, 71.0
3.242, 56.0
3.129, 78.6
3.053, 39.8
2.939, 51.4
2.735, 38.6
2.658, 43.5
2.614, 36.7
2.506, 39.9

Atomic structure:
a = 10.7401 Å, b = 10.6273 Å, c = 9.8531 Å
α = 90.00°, β = 103.23°, γ = 90.00°
Space group C2/c (No. 15)
Asymmetric unit:
Ba 0.2500 0.2500 0.0000 x4
Fe 0.0000 0.0000 0.0000 x4
Fe 0.0000 0.4531 0.2500 x4
P 0.0606 0.3103 0.5557 x8
P 0.2193 0.0430 0.2985 x8
O 0.0245 0.1743 0.5812 x8
O 0.0328 0.3992 0.8929 x8
O 0.0650 0.3336 0.4047 x8
O 0.1287 0.0815 0.1615 x8
O 0.1523 0.0048 0.4126 x8
O 0.1809 0.4431 0.2138 x8
O 0.2016 0.3269 0.6562 x8

* * * * *

# Ba2NdPbSe5
Computed X-ray powder pattern, Cu Kα, 1.54184 Å. Input: a DFT-relaxed cell (PBE, Alexandria).
Intensities are scaled so that the largest is 100.

Most intense lines, 2θ = 5–70°, low angle first:
| two_theta | intensity |
| --- | --- |
| 24.2 | 49 |
| 24.4 | 24 |
| 28.4 | 100 |
| 29.1 | 74 |
| 33.7 | 23 |
| 36.9 | 30 |
| 40.3 | 40 |
| 40.9 | 28 |
| 43.9 | 24 |
| 50.4 | 32 |

Structural model:
Lattice parameters (Å, degrees): 4.4804 18.9215 13.6150 90.00 90.00 90.00
Space group Cmc2_1 (No. 36)
Inequivalent atoms, fractional coordinates:
Ba 0.0000 0.1138 0.0000 (multiplicity 4)
Ba 0.0000 0.1388 0.6236 (multiplicity 4)
Nd 0.0000 0.2115 0.3296 (multiplicity 4)
Pb 0.0000 0.4672 0.7684 (multiplicity 4)
Se 0.0000 0.0530 0.3914 (multiplicity 4)
Se 0.0000 0.2855 0.9725 (multiplicity 4)
Se 0.0000 0.3189 0.6848 (multiplicity 4)
Se 0.0000 0.3643 0.3135 (multiplicity 4)
Se 0.0000 0.4894 0.0733 (multiplicity 4)

* * * * *

Entry 1:
For Mg3Fe2Pt2, a DFT-relaxed cell (GGA-PBE, OQMD) gives the computed powder diffractogram in this record (λ = 1.5418 Å (Cu Kα)).

Top 10 peaks for 15° ≤ 2θ ≤ 90°, in order of rising 2θ:
25.5°, 3.490 Å, I = 57
25.6°, 3.475 Å, I = 19
29.6°, 3.019 Å, I = 100
42.3°, 2.138 Å, I = 73
42.4°, 2.132 Å, I = 67
50.1°, 1.822 Å, I = 30
52.4°, 1.745 Å, I = 20
61.4°, 1.510 Å, I = 22
69.5°, 1.352 Å, I = 17
77.4°, 1.234 Å, I = 34

Crystal structure
a b c (Å): 7.3763 7.3763 7.3763
angles (deg): 33.70 33.70 33.70
Positions (direct):
~~~

5.469, 35.0
3.763, 59.1
3.560, 100.0
3.361, 71.0
3.242, 56.0
3.129, 78.6
3.053, 39.8
2.939, 51.4
2.735, 38.6
2.658, 43.5
2.614, 36.7